Part of thanksgiving is feeling gratitude. It is about being grateful for what we have. Focusing on that is a game changer. For the readers of this blog, we have a lot to be grateful for (for starters, you have eyesight and are able to read, you have a computer, electricity, and some form of shelter, you are on the path of growth and development, etc.).
Yet. There is another side to Thanksgiving. That is saying 'thank you' to those who have specifically contributed in a positive way to our lives. It could be something small or it could be big. Either way, we have some obligation to recognize the other person. To say thank you. It is amazing how few people actually do this.
Let's start a trend and begin appreciating those who contribute to the quality of our lives with a heartfelt thank you (throughout the next 12 months). Other people will appreciate the recognition and we will feel good at the same time.
If you are in a leadership role, consider adding this practice to your performance objectives for the coming year. It is a kaizen practice (something small that will have a huge impact). You will thank me later.
The 2015 Dream Job Intensive is now complete. This live-remote workshop is for those who seek to have a career they absolutely love. In this latest session we had students ranging in age from 24 to 45. They came from non-profits, business, and freelance careers.
**Unrelated to this page: calculated molecules:**
-- begin --
No. 1
Molecular formula: C18H18N6O3S
Method: DFT, ωB97M-V/def2-TZVPD

SMILES string	CCn1cc(Nc2nc3c(Oc4ccc(S(C)(=O)=O)cc4)cccn3n2)cn1
HOMO energy	-7.314	eV
HOMO-LUMO gap	7.666	eV

Element x y z (Å)
C (-4.41, 1.20, -0.10)
C (-3.33, 2.28, -0.03)
N (-2.52, 2.18, 1.17)
C (-1.42, 1.34, 1.37)
C (-0.95, 1.54, 2.65)
N (0.14, 0.93, 3.25)
C (1.01, -0.03, 2.71)
N (1.14, -0.66, 1.47)
C (2.21, -1.41, 1.63)
C (3.00, -2.28, 0.72)
O (2.76, -2.50, -0.63)
C (1.80, -1.70, -1.21)
C (0.51, -2.15, -1.45)
C (-0.42, -1.32, -2.11)
C (-0.07, -0.02, -2.51)
S (-1.33, 0.93, -3.40)
C (-1.05, 0.57, -5.13)
O (-1.15, 2.36, -3.18)
O (-2.67, 0.46, -3.05)
C (1.19, 0.47, -2.17)
C (2.13, -0.41, -1.60)
C (4.06, -2.98, 1.22)
C (4.45, -2.82, 2.63)
C (3.72, -1.96, 3.43)
N (2.64, -1.25, 2.93)
N (1.89, -0.38, 3.59)
C (-1.86, 2.53, 3.25)
N (-2.71, 2.95, 2.32)
H (-5.17, 1.41, -0.88)
H (-3.95, 0.25, -0.35)
H (-4.95, 1.17, 0.87)
H (-2.70, 2.21, -0.91)
H (-3.84, 3.25, -0.04)
H (-1.00, 0.64, 0.64)
H (0.40, 1.13, 4.24)
H (0.22, -3.13, -1.09)
H (-1.42, -1.73, -2.28)
H (-1.39, -0.44, -5.39)
H (-1.63, 1.27, -5.74)
H (-0.01, 0.68, -5.35)
H (1.49, 1.47, -2.46)
H (3.14, -0.07, -1.39)
H (4.62, -3.62, 0.56)
H (5.28, -3.37, 3.01)
H (3.98, -1.87, 4.48)
H (-1.85, 2.86, 4.29)

***

No. 2
Molecular formula: C18H19BN6Re
Method: DFT, ωB97M-V/def2-TZVPD

net charge	+2
multiplicity	4
HOMO energy (spin up / spin down)	-14.846 / -14.872	eV
HOMO-LUMO gap (spin up / spin down)	5.822 / 6.637	eV
expectation value of S²	3.92

Element x y z (Å)
H (0.32, -3.60, 0.00)
N (1.67, -1.86, 0.21)
B (3.54, -0.14, -0.40)
N (3.02, -1.59, -0.20)
C (3.52, -2.80, -0.43)
Re (0.68, -0.42, -0.58)
H (4.55, -2.88, -0.59)
C (2.55, -3.82, -0.35)
H (2.70, -4.88, -0.46)
C (1.35, -3.23, -0.02)
H (4.71, -0.13, -0.59)
C (-1.48, 2.64, 1.83)
H (-2.43, 2.88, 1.31)
H (-0.78, 1.99, 1.34)
H (-0.92, 3.54, 2.07)
N (3.27, 0.51, 1.01)
N (2.86, 0.83, -1.43)
N (1.99, 0.58, 1.47)
N (1.49, 1.12, -1.45)
C (4.14, 1.08, 1.87)
C (3.33, 1.45, -2.51)
H (5.17, 1.06, 1.58)
H (4.36, 1.43, -2.66)
C (3.40, 1.58, 2.94)
C (2.33, 2.06, -3.25)
C (2.06, 1.29, 2.65)
C (1.15, 1.86, -2.62)
H (3.86, 2.08, 3.77)
H (2.45, 2.62, -4.15)
H (1.20, 1.57, 3.25)
H (0.10, 2.08, -2.86)
H (-1.62, 2.26, 2.96)
C (-1.27, -0.64, -0.68)
C (-2.53, -0.82, -0.75)
C (-3.90, -0.92, -0.54)
C (-4.38, -0.82, 0.80)
C (-5.74, -0.78, 1.08)
C (-6.68, -0.85, 0.03)
C (-6.22, -0.97, -1.29)
C (-4.87, -1.02, -1.59)
H (-3.65, -0.77, 1.62)
H (-6.09, -0.67, 2.11)
H (-7.77, -0.79, 0.24)
H (-6.95, -1.02, -2.11)
H (-4.50, -1.10, -2.62)

***

No. 3
Molecular formula: C18H19BrN2O2
Method: DFT, ωB97M-V/def2-TZVPD

SMILES string	CCCCC(=O)Nc1cccc(NC(=O)c2ccccc2Br)c1
HOMO energy	-8.511	eV
HOMO-LUMO gap	8.943	eV

Element x y z (Å)
C (-5.81, -0.77, -1.75)
C (-4.39, -0.79, -1.20)
C (-4.36, -0.44, 0.29)
C (-2.94, -0.46, 0.85)
C (-2.13, 0.73, 0.37)
O (-2.61, 1.71, -0.15)
N (-0.79, 0.57, 0.63)
C (0.26, 1.46, 0.38)
C (0.10, 2.67, -0.28)
C (1.19, 3.49, -0.47)
C (2.45, 3.12, -0.03)
C (2.63, 1.90, 0.61)
N (3.91, 1.55, 1.04)
-- stop --
The Dream Job Intensive is based upon a coaching program created in 2012 by Conscious Management Consulting for one-on-one clients. We expanded it to a 10 week program and now to a four week Intensive.
The Dream Job Intensive uses tools like Maestro Conference, LinkedIn, triadic support and real-life coaches to engage students in an intense 30 day process. Each session of the workshop is led by certified coaches, who engage with students in individual and group work.
During the workshop, each student creates results within the 13 assigned projects. The program has regular deadlines, group discussions, and one-on-one coaching calls. It is entirely based online, with students participating from their home or workplace.
The next course begins on Monday, January 18, 2016. There is still room if you feel called to do this work (not easy but doable). You can learn more here.
Note: This is NOT like the courses that you sign up for and never participate. This course involves real work. It is a serious undertaking. You will have other people who will be counting on you to cross the finish line together. It is all for one and one for all. If you are not ready for this level of commitment, please do not apply.
One of the challenges in networking is everybody thinks it's making cold calls to strangers. Actually, it's the people who already have strong trust relationships with you, who know you're dedicated, smart, a team player, who can help you. ~ Reid Hoffman
Well, week three of the How to Create Your Dream Job Now Intensive is complete. In an effort to not sound like a broken record we will refrain from going overboard about how awesome this class is. But still, we do have to say it: They are an awesome group!
This week we shifted our focus to building their personal networks. We define the network as, "the people who want to help you, and you want to help them." We place the emphasis upon the fact that everything we do to strengthen our network is time well spent on a number of levels (now and in the future).
We are now focusing on LinkedIn. Our objective is not only to be "on" LinkedIn, but to be an active member of LinkedIn. Of course, we share the advanced techniques required to be an active LinkedIn member.
In the last group call, we talked about strong ties v. weak ties. The main idea is to build strong ties while continually creating new weak ties. We discussed Malcolm Gladwell who, in his book The Tipping Point: How Little Things Can Make a Big Difference, said:
"People weren't getting their jobs through their friends. They were getting them through their acquaintances. Why is this? Granovetter argues that it is because when it comes to finding out about new jobs -- or, for that matter, new information, or new ideas -- "weak ties" are always more important than strong ties. Your friends, after all, occupy the same world that you do. They might work with you, or live near you, and go to the same churches, schools, or parties. How much, then, would they know that you wouldn't know? Your acquaintances, on the other hand, by definition occupy a very different world than you. They are much more likely to know something that you don't. To capture this apparent paradox, Granovetter coined a marvelous phrase: the strength of weak ties. Acquaintances, in short, represent a source of social power, and the more acquaintances you have the more powerful you are."
Everyone in the Dream Job Intensive becomes a new member of your network. Everyone in the workshop gets connected on LinkedIn (including the coaches). We place emphasis on the idea of letting your network help you get to where you want to go.
Interested in the Dream Job Intensive starting in January 2016? You can learn more here.
A good friend from college recently responded to a Craig’s List posting for a Caretaker of a ranch outside of town. According to what he saw in the advertisement, it would be the perfect position. He is a true outdoors-man having spent over 20 years in the rugged mountains of Colorado. Watching over a large ranch is a perfect job for him.
On Saturday, he arose before dawn to ride out to meet the owner and check out the ranch. It was nice enough with plenty of land and large views of the countryside. There was a herd of Alpaca on the ranch. That was part of the deal. Take care of the flock and the property. But here’s the rub. When they were discussing payment, the owner talked about rent. Not a salary for being a caretaker. Not rent in exchange for watching over the property. No, she was talking rent for the "privilege" of watching over her animals and land.
My friend was of course taken aback. His choice words to the owner began with the letter “F” and then “you” and ended with the classic refrain “…and the Alpaca you came in on.”
This situation illustrates the modern phenomenon of people wanting their cake and to eat it too. Rather than find a way to create win/win/win agreements, they attempt to create win/lose agreements. They push the boundaries of common sense and common decency. It is yet another example of unconscious people trying to do business.
This is why we love conscious businesses (Trader Joe’s, Southwest Airlines, and COSTCO in the U.S.). They play by a different set of rules. They bend over backwards to make the customer happy, the employees happy, and the investor happy, all at the same time. Not a bad way to roll.
We are the only species on the planet, so far as we know, to have invented a communal memory stored neither in our genes nor in our brains. The warehouse of this memory is called the library. ~ Carl Sagan
In this session, we talk about creating the most important library in the world (for you). That is, your own personal archives of your days. Each moment you live adds up to create your life. To reflect upon your days and review them periodically (as a means for moving forward), adds immensely to the depth and meaning of your life. This is what is meant by the examined life.
If you are implementing the system prescribed here (and we know hundreds of people are doing just that), then this session will be of great value to you. We are describing a way to take your daily 3x5 cards and make them available for quick access at any time and especially each year when you create your yearly plan.
We mention a technology solution--using Evernote-- that is an optional add-on. Please do not use it as a replacement for archiving your physical 3x5 cards. As much as we love technology solutions, the future is always uncertain with technology companies. Keeping your 3x5 cards in high quality archival boxes is the surest way of preserving and honoring your past.
Coaching Tip: Many people wished they had known about this system 10 years ago. We understand that sentiment. Nonetheless, you have to start where you are today. Get started and stick to it. If it is right for you, you will have your personal library started in no time. If you have kids, you might introduce this system to them. They will thank you for it later.
The resources recommended in this session can be found here:
I believe that the biggest problem that humanity faces is an ego sensitivity to finding out whether one is right or wrong and identifying what one's strengths and weaknesses are. ~ Ray Dalio
Week two of our Dream Job Intensive is complete. As we noted last week we have an energetic and motivated group of students who have committed themselves to this 30-day immersion to discover more about themselves and more about conscious businesses (where they one day might like to build a career).
We should take it a step further and say this is an amazing group with over 85% completing assignments on time. And not only that, they are working together as a “we” instead of several “me’s.” That is pretty amazing.
One of the assignments was to take the StrengthsFinder 2.0online assessment and begin putting their top strength to use (immediately) . The research data is pretty clear that we can only thrive and be happy if we are using our strengths on a daily basis. Of course, to use them, you need to know what they are.
Here is a sample of some of the top strengths of the students in the intensive: Activator, Adaptability, Arranger, Communication, Context, Futuristic, Ideation, Input, Intellection, Learner, Maximizer, Positivity, Relator, Responsibility, Restorative, and Strategic. Wow! Imagine building a team with these folks.
Do you know your top strength? Do you use it every day? Interested in the Dream Job Intensive? You can learn more here.
Here is an interesting video that will help you start focusing on strengths: Eva Katharina Herber at TEDxIEUniversityMadrid
Within each successful person is an ordinary person who found the courage to act – to face the big challenges and make their dreams come true. ~ Jinny S. Ditzler
In Session 1 we talked about creating your Weekly Success Map. In session 2, we talked about using 3x5 cards to plan and track your day. In this session, we explore the topic of creating your Yearly Plan. The Yearly Plan is your big picture. It feeds your Weekly Success Map. It provides a roadmap for where you are headed over the next 12 months. If you have never created a yearly plan, it may well be one of the most exciting (and productive) things you have ever done. In the video we reference the book Your Best Year Yet!: Ten Questions for Making the Next Twelve Months Your Most Successful Everby Jinny S. Ditzler.